We had a nice day for the Open House Regatta with a light breeze out of the east that eventually built to the double digits. Jess and I were sailing aboard Todd’s J99 Battle Rhythm with me doing pit and her trimming the main.
The course would take us from Godfrey Bay out the Piankatank near Stingray Point and back up the river around a mark and then up into a finish in Fishing Bay. The first part of the race was mostly upwind while the 2nd half of the race was mostly downwind.
It was a progressive start race meaning the slower boats start first and the faster boast start last. We were the 2nd to last to to start and as we sailed east on the 2nd leg of the course we started to catch up to a group of boats. We hoisted our spinnaker to head from Piankatank 8 to FBYC B and passed most of them. On that first spinnaker hoist we had a sheet run incorrectly and had to just muscle hold it while we re-ran the lazy sheet as the new sheet and didn’t loose much ground.
By the time we got to FBYC-B we had Sting, Wendas and the Thistle ahead of of. We passed them by the time we got to back to Piankatank 8, but were only just ahead of Sting. We split with Sting and went North while they went south and after crossing we went south as we went north as we worked our way downwind to the west up the Piankatank. They stayed in better pressure of Stove point and were just ahead of us by the time we got to 12. We had a cleaner rounding, came out higher and had a little more speed to be just ahead of them at the finish and get the gun.
The FBYC Offshore Spring Open consisted of 2 days of racing with the first on Saturday being buoy racing and a distance race on Sunday.
Saturday – Buoy Racing
We arrived to a light drizzle on Saturday. Goin’ couldn’t get the hoist to work, so a couple from their boat joined what was going to be a short-handed crew on Battle Rhythm. Winds were in the 15-17 knot range out of the east as it continued to drizzle.
In the first race we were about a minute late to the start as we thought the other fleets were starting first. We started with 1 reef and were at the first weather mark about the same time as Corryvreckan.
Downwind we didn’t fly the spinnaker and as we sailed down the course we saw the wind dropping and shook the reef out. We finished the race without the spinnaker and finished 6th of 7.
For the second race we had a terrific start right at the boat, right on time, with a nice lane to leeward and we managed to shut the door on two other boats trying to start at the boat-end of the line.
In the 10-13 knots of wind we worked on tuning the boat upwind and got a little more in the groove. We rigged the spinnaker and had to shuffle people around – Todd went from the helm to the bow and Dennis drove downwind while Jon stayed in the pit. We did pretty well and held our position with Afterthought ahead and Sting behind us. We did another lap of the same and although Sting got pretty close to us and we ended up correcting behind Nanuq by only 26 seconds. In the end we finished 6 and 4 putting us in 5 overall after the first day.
Sunday – Distance Race
Sunday was the distance race – which was basically east out of the Piankatank and then North up the bay and then the triangle back to where we started.
The start was from FBYC-A which meant that the boat was on the port end of the line and the starboard end was the government mark. We had a pretty good start on starboard while many of the other boats were on port. We carried starboard to the north to have a better angle on the next mark, while the boats that were already on port were pretty tight upwind to make the first mark.
We rounded the first mark with many of the faster boats very close to us. From there we stayed upwind while many other boats cracked off to a close reach on a coarse for the next mark. Only the current was streaming down the bay and the boats that cracked off quickly found themselves getting swept and having to sail upwind again. The wind was still pretty light and our angle and positioning to the North allowed us to carry much more speed and catch the new wind to the North and rounded the next mark in second with our entire fleet behind us. Mad Hatter in the B fleet played the current even better and beat us to the mark and the C fleet boat Wendas was just behind us.
The next leg took us roughly upwind and up current to the North. There wasn’t much relief from the current but we went to the west side of the course along with Mad Hatter. Afterthought had caught up to us, but split to the east and lost a couple minutes by the time we got to the north.
Between two parts of the piece: records of crystals
For Na3PuBi2Se6, a crystal structure in Alexandria, relaxed with GGA-PBE gives the simulated powder XRD pattern in this record (λ = 1.5418 Å (Cu Kα)).
Intensities are scaled so that the largest is 100.

Atomic structure:
```
data_Na3PuBi2Se6
_chemical_formula_sum 'Na6 Pu2 Bi4 Se12'
_cell_length_a 7.335
_cell_length_b 12.708
_cell_length_c 7.484
_cell_angle_alpha 90.00
_cell_angle_beta 109.05
_cell_angle_gamma 90.00
_space_group_name_H-M_alt 'C 1 2/m 1'
_space_group_IT_number 12
_space_group_name_Hall '-C 2y'
loop_
_atom_site_label
_atom_site_fract_x
_atom_site_fract_y
_atom_site_fract_z
Na1 0.000 0.000 0.000
Na2 0.000 0.328 0.000
Pu1 0.000 0.500 0.500
Bi1 0.000 0.166 0.500
Se1 0.243 0.335 0.736
Se2 0.249 0.000 0.738
```

Peak list (10 most intense, 10° ≤ 2θ ≤ 90°, most intense first)
2θ (°)	Rel. int.
End of the records of crystals
On what was the final rounding to the finish, we rounded and set the chute. In process of getting the sail set, we lost track of where we were to be heading and spent a few minutes going downwind further than we should have. Had we kept on a tight reach, we would have been able to sail longer on a straighter course to the finish. But because we went low, we had to douse the chute a little earlier and go back to an upwind mode to fetch the finish. At times the wind was barely nothing and the current continued to rip down the bay making it hard for us to get anything in the sails. Eventually the wind filled, but Afterthought would correct to almost 25 minutes ahead of us and Nanuq corrected to 5 minutes ahead of us. We managed to stay enough ahead of Corryvreckan to correct over them by 30-some seconds for 3rd place.
On Saturday, I helped Todd deliver his J99 Battle Rhythm from its winter home in Irvington VA to Deltaville for the summer sailing and racing season. Ann was along as well and we had a nice motor down the Rappahannock River and did some sailing when we reached the Chesapeake Bay in the lightish winds.
We had 4 boats at FBYC for the ILCA Spring Regatta on a cool and overcast day. Mike C, Mike M, Todd and myself went out for 5 races alongside a couple Melges 15s. The Flying Scots elected not to sail. Out on the race we had a steady 13-14 knots with some white caps.
In the first race Mike C, Mike M and I all dragged race out to the left. I went a little further left and got some breeze wrapping around Stove Point and almost overstood the mark. I was just ahead of them as we went downwind, but I was able to keep a loose cover on both of them just behind me to finish first.
Race 2 was windy and shifty out of the east at times. The wind had gone a little more left which meant we were a little more sheltered behind Stove Point. I again played the middle left of the course and was able to stay just ahead of Mike C and Mike M.
Race 3 didn’t go as well – I was about to be leading at the top mark, but I missed the cleat after a tack and let the sail out while I was hiking and plunged the boat over me to weather while the other boats sailed by me. I caught up 1 boat to put me in 3rd, but I was never able to catch up to Mike C and Mike M to finish that way.
The 4th race saw a shift to the left, I went down to the pin at the start and almost laid the weather mark with a comfortable lead and finished that way.
For the 5th and final race of the day I knew I had to finish 3rd or better to win first overall. Mike C was ahead as we approached the weather mark and I flubbed the tack allowing Mike M to get by me as well. On the second upwind Mike M would struggle around the weather mark allowing me to sail by him to a 2nd place finish.
All in all it was a really fund day of sailing in a solid breeze and mixing it up with Mike C and Mike M in some close racing. Thanks to the Race Committee for running the race for us and we’ll be back for the Summer Regatta in August.
Served as the race committee for the first one design event of the year at FBYC. Ended up with a beautiful day for the Flying Scots and Melges 15. I also got to try out a new insta360 X4 camera.
Got 4 races before the wind died on us.
Thanks to Mason Chapman, Laurie Pierce, Jess Deutsch, John Koedell, Todd Blekicki and Frank Murphy for helping on RC.
As was the case in 2022, the club was short a PRO for the first spring series of the year and so I stepped in last minute to be the PRO. We had a small but mighty team and gave the racers the best we could given the weather, volunteers and equipment we had available.
PHRF-BC start with GOIN’ and Mad Hatter
While it wasn’t windy by windy standards- the conditions were still cool, the wind was up and the waves were a bit lumpy from this direction. We were able to set up a 1.5nm weather leg and ran two races for both fleets on that course. The cruising class intended to do a triangle derivative of this, but through some miscommunication to the RC, we sent them on a triangle that was way beyond what they were intending and weren’t finishing even the first lap of that until almost after the other fleets had done two laps and started their next race.
Paula and Jon doing flags at the back of the boat while Cathy calls time.
Thanks to Paula, Cathy, Mary and Paul for their help on RC.
This was also my first chance to try out a new insta360 X4 and here’s the 360 video in 8k of driving the boat out of the Jackson Creek Channel.
This weekend the Battle Rhythm crew joined the Race Committee for the Opening Day race. The 3 fleets did a middle distance race out into the Chesapeake Bay and back. The wind was light and took about 3 hours to do the ~15nm. We had a 4-6 knot breeze in the Piankatank the entire time. The boats out in the bay saw much less than that at times and many of them abandoned when the current started taking them faster than the wind.
## Crystal structures from another source follow
+++
No. 1
This entry pairs a crystal structure of K2HfO6 with its calculated powder diffraction line list. Radiation: λ = 1.5418 Å (Cu Kα). Structure: a structure optimized by DFT (PBE).
Kinematic intensities with the Lorentz-polarization factor, no thermal factor.

Atomic structure:
Unit cell a=10.537 b=10.537 c=5.783 alpha=90.00 beta=90.00 gamma=98.73
Atoms (fractional coordinates):
1 K 0.106 0.894 0.833
2 K 0.112 0.388 0.500
3 K 0.388 0.112 0.500
4 K 0.394 0.606 0.833
5 K 0.606 0.394 0.167
6 K 0.612 0.888 0.500
7 K 0.888 0.612 0.500
8 K 0.894 0.106 0.167
9 Hf 0.250 0.250 0.000
10 Hf 0.250 0.750 0.342
11 Hf 0.750 0.250 0.658
12 Hf 0.750 0.750 0.000
13 O 0.120 0.880 0.322
14 O 0.122 0.378 0.000
15 O 0.126 0.158 0.759
16 O 0.134 0.634 0.106
17 O 0.145 0.645 0.584
18 O 0.158 0.126 0.241
19 O 0.342 0.374 0.241
20 O 0.355 0.855 0.584
21 O 0.366 0.866 0.106
22 O 0.374 0.342 0.759
23 O 0.378 0.122 0.000
24 O 0.380 0.620 0.322
25 O 0.620 0.380 0.678
26 O 0.622 0.878 0.000
27 O 0.626 0.658 0.241
28 O 0.634 0.134 0.894
29 O 0.645 0.145 0.416
30 O 0.658 0.626 0.759
31 O 0.842 0.874 0.759
32 O 0.855 0.355 0.416
33 O 0.866 0.366 0.894
34 O 0.874 0.842 0.241
35 O 0.878 0.622 0.000
36 O 0.880 0.120 0.678

Main lines, sorted by position (5° ≤ 2θ ≤ 70°):
| 2θ/deg | I (rel.) |
| --- | --- |
| 17.03 | 100 |
| 17.54 | 28 |
| 18.94 | 61 |
| 25.97 | 34 |
| 30.13 | 51 |
| 32.34 | 30 |
| 33.63 | 27 |
| 36.15 | 31 |



No. 2
This entry pairs a crystal structure of K2HfO6 with its calculated powder diffraction line list. Radiation: λ = 1.5418 Å (Cu Kα). Structure: a structure optimized by DFT (PBE).
Kinematic intensities with the Lorentz-polarization factor, no thermal factor.

Atomic structure:
Unit cell a=10.613 b=10.613 c=5.870 alpha=90.00 beta=90.00 gamma=112.75
Atoms (fractional coordinates):
1 K 0.119 0.881 0.990
2 K 0.130 0.370 0.500
3 K 0.370 0.130 0.500
4 K 0.381 0.619 0.990
5 K 0.619 0.381 0.010
6 K 0.630 0.870 0.500
7 K 0.870 0.630 0.500
8 K 0.881 0.119 0.010
9 Hf 0.000 0.500 0.000
10 Hf 0.250 0.750 0.503
11 Hf 0.500 0.000 0.000
12 Hf 0.750 0.250 0.497
13 O 0.118 0.382 0.000
14 O 0.124 0.624 0.751
15 O 0.125 0.625 0.250
16 O 0.136 0.864 0.504
17 O 0.144 0.200 0.844
18 O 0.200 0.144 0.156
19 O 0.300 0.356 0.156
20 O 0.356 0.300 0.844
21 O 0.364 0.636 0.504
22 O 0.375 0.875 0.250
23 O 0.376 0.876 0.751
24 O 0.382 0.118 0.000
25 O 0.618 0.882 0.000
26 O 0.624 0.124 0.249
27 O 0.625 0.125 0.750
28 O 0.636 0.364 0.496
29 O 0.644 0.700 0.156
30 O 0.700 0.644 0.844
31 O 0.800 0.856 0.844
32 O 0.856 0.800 0.156
33 O 0.864 0.136 0.496
34 O 0.875 0.375 0.750
35 O 0.876 0.376 0.249
36 O 0.882 0.618 0.000

Main lines, sorted by position (5° ≤ 2θ ≤ 70°):
| 2θ/deg | I (rel.) |
| --- | --- |
| 10.01 | 100 |
| 21.39 | 23 |
| 23.67 | 58 |
| 29.52 | 59 |
| 30.39 | 25 |
| 32.12 | 20 |
| 43.56 | 29 |
| 50.19 | 20 |



No. 3
+++
Being on Race Committee this was a perfect opportunity to get some video of the boats and try out a borrowed 360 camera.
We got two days of racing at the Capital City Regatta at Potomac River Sailing Association in cool conditions with plenty of wind on Saturday and not enough at times on Sunday. 9 races were sailed and James Jacob emerged as the regatta winner having won all but one race in the series in the 17 boat fleet.
Saturday saw winds in the mid-teens with gusts into the 20’s and temperatures in the mid-50’s making for a cold day. With 11 boats on the course we started a little south of the club on the Potomac River which had a lot of current that would rip down the course all day.
In the first 2 races I started slow with a bad start, but salvaged a 5th and in the second race I had a great start and stuck with the leaders to find myself in 3rd. While I was out of practice hiking, I did keep the boat moving well most of the time. With the triangle course we had two broad reaches rather than downwind.
When it came to the 3rd race – I had a good start and was just behind James on the reaches. I passed him on the 2nd reach and shortly after turning to go upwind and was leading the race when I put the main sheet in the cleat to adjust the vang. When I went to pull on the vang, the tail of it had been wrapped around the main sheet cleat and was underneath the cleated sheet. As I grabbed the vang the tail lifted up popping the sheet out of the cleat (video). The main instantly went out and I immediately flipped over backward. After a few tries I was back in the boat, but definitely going to be too cold and called it a day and missed the rest of the race and the next one.
Sunday saw some lighter conditions and slightly warmer temperatures with now 17 boats out on the course. The current was still ripping down the course just as much as it was yesterday making it a challenge of knowing when to go right and into it and when to go left and avoid it. In 4 out of 5 of the races I had decent starts and sailed with the leaders anywhere from 2 to sixth place.
In the 4th race I thought we were going to get a wind shift and I could port tack the fleet. The shift didn’t come and Tyler defended it perfectly and after I parked it behind the line, I had to let everyone go. When I finally got started the wind did shift and it was a largely a parade with very few passing lanes.
By 2 o’clock w had sailed 5 races and the wind was getting really patchy at time making it almost impossible to made headway against the current and we headed in.
Thanks to Nabeel and the RC for getting as many races as we could get in over 2 days and thanks to all of the other PRSA volunteers for the food and everything else they did to make this possible. Congrats to James, Patrick and Thomas on a well-sailed event and their podium finishes.
Every time I come back to crewing on big boats I’m always feeling like I have to re-familiarize myself with the electronics and some of the basic operations we use all of the time. I think that’s true of many others and so here is is a quick video reference on how to use the instruments with the functions we normally use. Here is a playlist of the videos or the can be viewed individually below.
This spring work took me to Washington DC for a week that coincided with the peek bloom of the cherry blossoms. I got out just before sunset to to check them out on the tidal basin.
I was glad to have gotten to see them one more time before the construction on the waterfront starts.
Later in the week I got to check out the blossoms in the Kenwood neighborhood while out on a run.